== Wanted ==
Now start at the top of the notes further below and retype each line, ending with the one that has "0.5405 0.3812".

== Listing ==
/*
No. 1
Here is a relaxed K3FeF3 crystal from Materials Project. Energies are from PBE with a Hubbard U. Values from VASP.

## Properties
crystal system = triclinic
DFT formation energy = -1322 kJ/mol of formula units

The structure in Quantum ESPRESSO input format:
```
&SYSTEM
  ibrav = 0, nat = 14, ntyp = 3
/
ATOMIC_SPECIES
K 39.10 K.upf
Fe 55.84 Fe.upf
F 19.00 F.upf
ATOMIC_POSITIONS crystal
K 0.6539 0.6056 0.1225
K 0.1337 0.1345 0.6215
K 0.2666 0.2427 0.2471
K 0.7664 0.7435 0.7512
K 0.8770 0.8783 0.3778
K 0.3813 0.3708 0.8650
Fe 0.0527 0.9772 0.9881
Fe 0.5442 0.4913 0.4909
F 0.1328 0.6352 0.0936
F 0.6529 0.1596 0.6200
F 0.7153 0.0889 0.1311
F 0.3910 0.8505 0.4046
F 0.1770 0.5539 0.5961
F 0.9052 0.3382 0.9004
CELL_PARAMETERS angstrom
5.9421 0.0000 0.0000
2.6348 5.5842 0.0000
1.9548 0.6365 9.8712
```

No. 2
Here is a relaxed Li3V3P8O29 crystal from Materials Project. Energies are from PBE with a Hubbard U. Values from VASP.

## Properties
crystal system = monoclinic
DFT formation energy = -10509 kJ/mol of formula units

The structure in Quantum ESPRESSO input format:
```
&SYSTEM
  ibrav = 0, nat = 86, ntyp = 4
/
ATOMIC_SPECIES
Li 6.94 Li.upf
V 50.94 V.upf
P 30.97 P.upf
O 16.00 O.upf
ATOMIC_POSITIONS crystal
Li 0.3221 0.9111 0.5547
Li 0.9111 0.3221 0.0547
Li 0.7729 0.9075 0.0594
Li 0.9075 0.7729 0.5594
Li 0.0695 0.9471 0.0109
Li 0.9471 0.0695 0.5109
V 0.9982 0.4374 0.2530
V 0.0010 0.5604 0.7472
V 0.4374 0.9982 0.7530
V 0.5604 0.0010 0.2472
V 0.4394 0.5625 0.2476
V 0.5625 0.4394 0.7476
P 0.3038 0.7763 0.8407
P 0.3129 0.9094 0.3401
P 0.7763 0.3038 0.3407
P 0.6717 0.6644 0.1327
P 0.6644 0.6717 0.6327
P 0.9094 0.3129 0.8401
P 0.0865 0.2165 0.6626
P 0.7769 0.9080 0.8427
P 0.2165 0.0865 0.1626
P 0.9080 0.7769 0.3427
P 0.0876 0.6956 0.1672
P 0.3336 0.3330 0.3615
P 0.3330 0.3336 0.8615
P 0.2210 0.6961 0.6603
P 0.6956 0.0876 0.6672
P 0.6961 0.2210 0.1603
O 0.2125 0.7963 0.5808
O 0.3461 0.7386 0.3269
O 0.1962 0.0059 0.0831
O 0.3447 0.9113 0.8263
O 0.4590 0.6167 0.8271
O 0.5267 0.6631 0.1801
O 0.6167 0.4590 0.3271
O 0.7963 0.2125 0.0808
O 0.7386 0.3461 0.8269
O 0.5146 0.8190 0.6749
O 0.4710 0.9097 0.3201
O 0.6631 0.5267 0.6801
O 0.6767 0.6571 0.0310
O 0.6571 0.6767 0.5310
O 0.8190 0.5146 0.1749
O 0.6191 0.9084 0.8252
O 0.6718 0.8156 0.1697
O 0.9113 0.3447 0.3263
O 0.0119 0.1959 0.7585
O 0.0059 0.1962 0.5831
O 0.9773 0.2431 0.9306
O 0.9097 0.4710 0.8201
O 0.8156 0.6718 0.6697
O 0.0834 0.2634 0.1653
O 0.9084 0.6191 0.3252
O 0.7390 0.9157 0.3225
O 0.1959 0.0119 0.2585
O 0.2431 0.9773 0.4306
O 0.8028 0.9989 0.5893
O 0.2634 0.0834 0.6653
O 0.0764 0.3804 0.6711
O 0.9157 0.7390 0.8225
O 0.1828 0.3373 0.3187
O 0.0770 0.5431 0.1752
O 0.9989 0.8028 0.0893
O 0.9660 0.7869 0.4347
O 0.0171 0.7886 0.2636
O 0.0852 0.6558 0.6591
O 0.3373 0.1828 0.8187
O 0.3804 0.0764 0.1711
O 0.1838 0.4766 0.8136
O 0.3259 0.3368 0.9625
O 0.3368 0.3259 0.4625
O 0.3362 0.4776 0.3169
O 0.5431 0.0770 0.6752
O 0.4766 0.1838 0.3136
O 0.2630 0.6531 0.1680
O 0.1943 0.7934 0.7540
O 0.2138 0.7966 0.9259
O 0.3812 0.5405 0.6725
O 0.4776 0.3362 0.8169
O 0.5405 0.3812 0.1725
*/

== Here it is ==
No. 1
Here is a relaxed K3FeF3 crystal from Materials Project. Energies are from PBE with a Hubbard U. Values from VASP.

## Properties
crystal system = triclinic
DFT formation energy = -1322 kJ/mol of formula units

The structure in Quantum ESPRESSO input format:
```
&SYSTEM
  ibrav = 0, nat = 14, ntyp = 3
/
ATOMIC_SPECIES
K 39.10 K.upf
Fe 55.84 Fe.upf
F 19.00 F.upf
ATOMIC_POSITIONS crystal
K 0.6539 0.6056 0.1225
K 0.1337 0.1345 0.6215
K 0.2666 0.2427 0.2471
K 0.7664 0.7435 0.7512
K 0.8770 0.8783 0.3778
K 0.3813 0.3708 0.8650
Fe 0.0527 0.9772 0.9881
Fe 0.5442 0.4913 0.4909
F 0.1328 0.6352 0.0936
F 0.6529 0.1596 0.6200
F 0.7153 0.0889 0.1311
F 0.3910 0.8505 0.4046
F 0.1770 0.5539 0.5961
F 0.9052 0.3382 0.9004
CELL_PARAMETERS angstrom
5.9421 0.0000 0.0000
2.6348 5.5842 0.0000
1.9548 0.6365 9.8712
```

No. 2
Here is a relaxed Li3V3P8O29 crystal from Materials Project. Energies are from PBE with a Hubbard U. Values from VASP.

## Properties
crystal system = monoclinic
DFT formation energy = -10509 kJ/mol of formula units

The structure in Quantum ESPRESSO input format:
```
&SYSTEM
  ibrav = 0, nat = 86, ntyp = 4
/
ATOMIC_SPECIES
Li 6.94 Li.upf
V 50.94 V.upf
P 30.97 P.upf
O 16.00 O.upf
ATOMIC_POSITIONS crystal
Li 0.3221 0.9111 0.5547
Li 0.9111 0.3221 0.0547
Li 0.7729 0.9075 0.0594
Li 0.9075 0.7729 0.5594
Li 0.0695 0.9471 0.0109
Li 0.9471 0.0695 0.5109
V 0.9982 0.4374 0.2530
V 0.0010 0.5604 0.7472
V 0.4374 0.9982 0.7530
V 0.5604 0.0010 0.2472
V 0.4394 0.5625 0.2476
V 0.5625 0.4394 0.7476
P 0.3038 0.7763 0.8407
P 0.3129 0.9094 0.3401
P 0.7763 0.3038 0.3407
P 0.6717 0.6644 0.1327
P 0.6644 0.6717 0.6327
P 0.9094 0.3129 0.8401
P 0.0865 0.2165 0.6626
P 0.7769 0.9080 0.8427
P 0.2165 0.0865 0.1626
P 0.9080 0.7769 0.3427
P 0.0876 0.6956 0.1672
P 0.3336 0.3330 0.3615
P 0.3330 0.3336 0.8615
P 0.2210 0.6961 0.6603
P 0.6956 0.0876 0.6672
P 0.6961 0.2210 0.1603
O 0.2125 0.7963 0.5808
O 0.3461 0.7386 0.3269
O 0.1962 0.0059 0.0831
O 0.3447 0.9113 0.8263
O 0.4590 0.6167 0.8271
O 0.5267 0.6631 0.1801
O 0.6167 0.4590 0.3271
O 0.7963 0.2125 0.0808
O 0.7386 0.3461 0.8269
O 0.5146 0.8190 0.6749
O 0.4710 0.9097 0.3201
O 0.6631 0.5267 0.6801
O 0.6767 0.6571 0.0310
O 0.6571 0.6767 0.5310
O 0.8190 0.5146 0.1749
O 0.6191 0.9084 0.8252
O 0.6718 0.8156 0.1697
O 0.9113 0.3447 0.3263
O 0.0119 0.1959 0.7585
O 0.0059 0.1962 0.5831
O 0.9773 0.2431 0.9306
O 0.9097 0.4710 0.8201
O 0.8156 0.6718 0.6697
O 0.0834 0.2634 0.1653
O 0.9084 0.6191 0.3252
O 0.7390 0.9157 0.3225
O 0.1959 0.0119 0.2585
O 0.2431 0.9773 0.4306
O 0.8028 0.9989 0.5893
O 0.2634 0.0834 0.6653
O 0.0764 0.3804 0.6711
O 0.9157 0.7390 0.8225
O 0.1828 0.3373 0.3187
O 0.0770 0.5431 0.1752
O 0.9989 0.8028 0.0893
O 0.9660 0.7869 0.4347
O 0.0171 0.7886 0.2636
O 0.0852 0.6558 0.6591
O 0.3373 0.1828 0.8187
O 0.3804 0.0764 0.1711
O 0.1838 0.4766 0.8136
O 0.3259 0.3368 0.9625
O 0.3368 0.3259 0.4625
O 0.3362 0.4776 0.3169
O 0.5431 0.0770 0.6752
O 0.4766 0.1838 0.3136
O 0.2630 0.6531 0.1680
O 0.1943 0.7934 0.7540
O 0.2138 0.7966 0.9259
O 0.3812 0.5405 0.6725
O 0.4776 0.3362 0.8169
O 0.5405 0.3812 0.1725